Thursday, August 18, 2011


We have had a whirlwind few weeks...visiting Michigan and now back in school.  Pictures to come.  We stayed with Honeybug and the Stablers, visited Lili, Nolan and Baby Amelia.  Much craziness and joy!  Tree climbing, frog hunting, the farmers market, bikes and scooters and the ice cream truck... Upon return, we moved directly into the Boulders - our tile floor was not completed.  Hadley joined Mrs. Befort's 4/5 class for 4th grade and this is Sullivan's first year at BMES.  He has Mrs. Adair for 1st grade.  Hadley has tons of old friends from multi-age that were so happy to see her after the summer.  Sullivan is making fast friends and is so happy to be back in school.  If only he could take the bus...  Good quotes: "Chinese sure is different at this school" (he is now learning Spanish!) At pick-up time, he told me that he and Hadley were like "sizzling chickens" on the sidewalk while they were waiting in the pick-up line.  And he has taken to calling the waterless toothbrushes that I keep in the car "freshenators".  Too hilarious!

Sunday, July 17, 2011

Iris is in the HOUSE!

On our way home from the airport, the girls immediately started doing their chants, songs, laughing at old inside jokes...  One of the chants from school they both know is a llama something or other.  "...happy llama, sad llama, something llama, something else llama, big fat llama, blobbity blah llama..momma llama, drama llama, llama, llama, llama, llama, llama"  Then they say an animal at the end.  Iris always uses Alpaca, Hadley knows it with Moose and Sullivan does not know this at all, but puts his own flair on things and shouts Pooping Pigeon from the way, way backseat.  Let the fun begin!  They've been jumping on the trampoline with the hose for an hour and a half.  The screaming and joy is is the yelling at Sully for whatever he's done now.

Monday, July 11, 2011

Honeybug Goes to Cave Creek

An El Encanto Evening
The week of the 4th of July, Honeybug came West for a visit.  She turned 66!  Here are some highlights...  Visiting Target (Hbug gave Sully a giftcard) and picking out Lego Alien Tripod, night swimming, monsoons and the electricity going off - to pass the time, we sang "In a Cabin" opera style, mani/pedi for Hbug and Hgirl, new shoes for Hgirl from Hbug, Happy Hour daily, Hbug cooking and cleaning and getting Lola to sleep, Stickbug was found, loved and painfully let go...  So much fun was had by all!
Lola loves "Hello my name is Flo"!
Making spaghetti sauce for the freezer
Pants as a hat, of course
Happy Birthday Honeybug
Beloved Stickbug
Night Swimming
Beautiful shoes for Hadley

Friday, July 1, 2011


Tom and I have just learned that Hadley and Sullivan have been tobagganing down the stairs on the trundle bed mattress.  It was hard to stifle the laughter while telling them in a serious lady voice this most definitely was not allowed.  I'm wondering where I was?  I have previously allowed sliding down the stairs in a sleeping bag (a la Grampa Bullinger's house)...this clearly is the better version.  On a side note, Sullivan has asked me to stop sending grapes in his lunchbox..."I don't enjoy the wrappers".

Monday, June 27, 2011

Getting Better

Practicing photo additions...I don't yet understand how to transfer pics from the camera, but can upload the phone!  Perhaps I will ask Hadley when she gets home from camp.  I am learning so much it hurts.

Sunday, June 26, 2011

First Attempt

Unrelated to this piece: data records:
No. 1
4
Lattice="3.869 0.000 0.000 0.000 3.761 0.006 0.000 3.726 8.332" Properties=species:S:1:pos:R:3 comment="PBE-GGA KYHg2, optimized geometry" spacegroup="P2/m (10)" de_polymorph_mev_per_atom=0 pbc="T T T"
Hg 0.000 3.739 4.564
Hg 0.000 3.731 7.937
Y 1.935 5.615 6.254
K 1.935 1.872 2.085


No. 2
6
Lattice="3.757 0.000 0.000 0.000 3.757 0.000 0.000 0.000 12.196" Properties=species:S:1:pos:R:3 comment="PBE-GGA KY2Hg3, optimized geometry" spacegroup="P4/mmm (123)" pbc="T T T"
K 1.879 1.879 6.098
Y 1.879 1.879 10.322
Y 1.879 1.879 1.874
Hg 0.000 0.000 3.558
Hg 0.000 0.000 8.638
Hg 0.000 0.000 0.000


No. 3
4
Lattice="5.601 0.000 0.000 0.000 3.631 0.002 0.000 -0.001 5.603" Properties=species:S:1:pos:R:3 comment="PBE-GGA KYHg2, optimized geometry" spacegroup="Pmm2 (25)" de_polymorph_mev_per_atom=33 pbc="T T T"
Hg 2.801 0.455 2.106
Hg 0.000 0.451 4.900
Y 2.801 2.268 4.905
K 0.000 2.270 2.099


No. 4
4
Lattice="-2.996 -3.128 2.991 -3.027 -3.675 -2.244 1.218 -5.094 0.526" Properties=species:S:1:pos:R:3 comment="PBE-GGA KYHg2, optimized geometry" spacegroup="F-43m (216)" de_polymorph_mev_per_atom=316 pbc="T T T"
K -2.403 -5.948 0.637
Y -3.604 -8.923 0.955
Hg 0.000 0.000 0.000
Hg -1.201 -2.974 0.318


No. 5
4
Lattice="0.059 -5.134 1.813 -3.843 -3.503 -1.617 1.276 -4.069 -3.386" Properties=species:S:1:pos:R:3 comment="PBE-GGA KYHg2, optimized geometry" spacegroup="Fm-3m (225)" de_polymorph_mev_per_atom=144 pbc="T T T"
Y -1.254 -6.353 -1.595
K 0.000 0.000 0.000
Hg -1.881 -9.529 -2.393
Hg -0.627 -3.176 -0.798


No. 6
4
Lattice="6.745 -0.030 -0.016 3.587 5.712 0.016 -4.548 -3.965 3.015" Properties=species:S:1:pos:R:3 comment="PBE-GGA KYHg2, optimized geometry" spacegroup="Imm2 (44)" de_polymorph_mev_per_atom=156 pbc="T T T"
K 5.277 2.902 0.000
Hg 10.284 5.656 0.000
Hg 3.945 -0.432 1.500
Y 1.775 2.114 1.516


No. 7
4
Lattice="9.722 -0.093 -0.055 8.925 3.857 -0.055 8.925 1.801 3.411" Properties=species:S:1:pos:R:3 comment="PBE-GGA KYHg2, optimized geometry" spacegroup="R-3m (166)" de_polymorph_mev_per_atom=106 pbc="T T T"
Hg 0.341 0.069 0.041
Hg 13.445 2.714 1.609
K 6.893 1.391 0.825
Y 20.679 4.174 2.475


No. 8
5
Lattice="1.063 1.318 4.453 6.180 -2.162 1.706 5.447 4.013 0.054" Properties=species:S:1:pos:R:3 comment="PBE-GGA K2ZnHg2, optimized geometry" spacegroup="Immm (71)" de_polymorph_mev_per_atom=0 pbc="T T T"
Zn 3.622 -0.422 3.080
Hg 9.782 2.720 5.770
Hg 2.908 0.448 0.444
K 5.321 2.770 1.729
K 7.369 0.399 4.485


No. 9
3
Lattice="-3.791 -2.658 3.056 0.918 -0.891 5.398 -2.933 2.771 3.807" Properties=species:S:1:pos:R:3 comment="PBE-GGA KZnHg, optimized geometry" spacegroup="F-43m (216)" de_polymorph_mev_per_atom=251 pbc="T T T"
Zn 0.000 0.000 0.000
K -4.355 -0.583 9.196
Hg -2.903 -0.389 6.131


No. 10
7
Lattice="-1.638 2.752 5.689 -4.197 -4.868 1.146 9.051 -3.317 0.465" Properties=species:S:1:pos:R:3 comment="PBE-GGA K4ZnHg2, optimized geometry" spacegroup="I4/mmm (139)" pbc="T T T"
K -0.819 1.376 2.844
K 0.723 -3.654 5.721
K 2.494 -1.778 1.578

Learning to upload photos...I feel empowered!!!  Next, figuring out how to send photos from my phone to the blog...I can totally do this.  

Saturday, June 25, 2011

In the Beginning

Inspired to capture memories, but time challenged and tech ridiculous.  Next, Shutterfly or some such medium! Must contact Nam and find out how to add photos to my new blog. Fun stuff to come...